Why Are We Seeing Large Populations of Mosquito Hawks This Time of Year? | Information and Facts

The long-legged insects that fly around your house may have caught your attention as you can always see them bouncing on the corners, walls, and ceiling.

They’re called mosquito hawks, but they don’t feed on your blood. Although not harmful to humans, you may wonder why they’re around.

Why are we seeing large populations of mosquito hawks this time of year? Mosquito hawks emerge in high numbers as they’re attracted to wet ground or areas. When the lawn or landscape is wet, they look for food or a spot to lay eggs. The larvae of mosquito hawks grow quickly when they’re in moist soil that offers an adequate food supply.

Some of them appear when the soil in the city becomes saturated because of the monsoon. However, some species of mosquito hawks prefer cooler temperatures in winter.

You may think that these insects are giant mosquitos, or you may have heard stories that they prey on mosquitoes. Let go of these assumptions and myths, as this article will show you the facts about mosquito hawks.

What Is a Mosquito Hawk? What Do They Look Like?

What Is a Mosquito Hawk

A mosquito hawk is an adult crane fly. The smallest species is just almost one millimeter. On the other hand, the largest one has a body that is two inches long with long legs that can be up to ten inches.

It has an inflatable rear end that makes them move easily on the soil.

To break water tension in some cases, mosquito hawks have fringed setae or caterpillar-like prolegs with a part that looks like a hook. The males in some species have antennae that have elongated segments.

The following is a calculated XRD peak list of Er2ZnGa4Pt3. It was derived from a structure optimized by DFT (PBE), using Cu Kα.
No peak broadening, texture or thermal motion is included.

Structure:
```
10
Lattice="4.0484 0.0000 0.0000 0.0000 4.0484 0.0000 0.0000 0.0000 11.2696" Properties=species:S:1:pos:R:3 pbc="T T T"
Er 0.0000 2.0242 2.8061
Er 2.0242 0.0000 8.4635
Zn 0.0000 0.0000 5.6348
Ga 0.0000 0.0000 0.0000
Ga 0.0000 2.0242 7.1869
Ga 2.0242 0.0000 4.0827
Ga 2.0242 2.0242 0.0000
Pt 0.0000 2.0242 9.6602
Pt 2.0242 0.0000 1.6094
Pt 2.0242 2.0242 5.6348
```

The 10 most intense peaks (2θ from 5° to 70°), most intense first:
hkl 1 1 2, 35.2 deg, rel. 100
hkl 1 0 3, 32.5 deg, rel. 59
hkl 2 0 0, 44.8 deg, rel. 57
hkl 1 0 5, 46.1 deg, rel. 47
hkl 2 1 5, 66.2 deg, rel. 32
hkl 2 1 3, 56.4 deg, rel. 25
hkl 1 1 4, 45.2 deg, rel. 22
hkl 1 1 0, 31.2 deg, rel. 19
hkl 2 2 0, 65.2 deg, rel. 19
hkl 1 0 2, 27.1 deg, rel. 17



The following is a calculated XRD peak list of Ho3OsBr3. It was derived from a structure optimized by DFT (PBE), using Cu Kα.
No peak broadening, texture or thermal motion is included.

Structure:
```
14
Lattice="8.4739 0.0000 0.0000 0.0000 4.1523 0.0000 -0.3135 0.0000 11.7972" Properties=species:S:1:pos:R:3 pbc="T T T"
Ho 0.7198 1.0381 3.7949
Ho 1.0261 1.0381 10.1474
Ho 2.1634 3.1142 1.1926
Ho 5.9970 1.0381 10.6046
Ho 7.1343 3.1142 1.6498
Ho 7.4406 3.1142 8.0023
Os 0.3485 1.0381 1.0673
Os 7.8119 3.1142 10.7299
Br 0.9223 1.0381 7.0775
Br 2.7108 3.1142 4.1825
Br 3.4290 3.1142 10.2701
Br 4.7314 1.0381 1.5271
Br 5.4496 1.0381 7.6147
Br 7.2381 3.1142 4.7197
```

The 10 most intense peaks (2θ from 5° to 70°), most intense first:
hkl 0 0 1, 7.5 deg, rel. 100
hkl 1 0 0, 10.4 deg, rel. 83
hkl 2 1 0, 30.1 deg, rel. 53
hkl 0 0 4, 30.3 deg, rel. 28
hkl 2 1 -4, 42.8 deg, rel. 25
hkl 2 1 1, 31.2 deg, rel. 23
hkl 0 2 0, 43.6 deg, rel. 22
hkl 3 1 0, 38.6 deg, rel. 15
hkl 2 1 -2, 33.6 deg, rel. 15
hkl 1 0 -1, 12.7 deg, rel. 15



The following is a calculated XRD peak list of NiRuPt6. It was derived from a structure optimized by DFT (PBE), using Cu Kα.
No peak broadening, texture or thermal motion is included.

Structure:
```
16
Lattice="8.7833 0.0000 0.0000 0.0000 3.9058 0.0000 -3.4703 0.0000 6.9754" Properties=species:S:1:pos:R:3 pbc="T T T"
Ni 0.0000 0.0000 0.0000
Ni 4.3917 1.9529 0.0000
Ru -1.7352 0.0000 3.4877
Ru 2.6565 1.9529 3.4877
Pt -2.5953 1.9529 5.2334
Pt 0.8792 0.0000 2.5959
Pt 1.7607 1.9529 0.8553
Pt -0.8394 0.0000 6.1201
Pt 0.0422 1.9529 4.3795
Pt 3.5166 0.0000 1.7420
Pt 1.7964 0.0000 5.2334
Pt 5.2708 1.9529 2.5959
Pt 6.1524 0.0000 0.8553
Pt 3.5523 1.9529 6.1201
Pt 4.4338 0.0000 4.3795
Pt 7.9083 1.9529 1.7420
```

The 10 most intense peaks (2θ from 5° to 70°), most intense first:
hkl 1 1 2, 39.9 deg, rel. 100
hkl 4 0 0, 46.2 deg, rel. 17
hkl 0 2 0, 46.5 deg, rel. 16
hkl 2 0 -4, 46.6 deg, rel. 16
hkl 4 2 0, 67.6 deg, rel. 16
hkl 2 2 -4, 68.0 deg, rel. 11
hkl 2 0 -2, 25.5 deg, rel. 8
hkl 2 0 4, 67.8 deg, rel. 5

Scientists need further study and research to discover its purpose as the female ones don’t have it. But both of them have big eyes.

Before turning into an adult mosquito hawk, it’s first a worm-like larva with tough skin. Its appearance is like a caterpillar or cutworm without legs.

What Purpose Do Mosquito Hawks Serve?

Mosquito hawks serve their purpose even when they’re still larvae. Before they can grow into an adult, these larvae feed on decaying organic matter. Thus, they help in the biological decomposition process.

In addition, the larvae of mosquito hawks feed on mosquito larvae that can bring diseases to humans when they turn into adults. The adult is harmless and dies after mating as they fulfill their responsibilities to reproduce. 

Why Do We Have So Many Mosquito Hawks?

Wet surroundings allow for the high production of mosquito hawks. During the dry season, the larvae of mosquito hawks lay dormant in the soil and wait for the ideal time to grow.

When the soil becomes moist with grasses and plants growing, they feed on crowns and roots of turfgrass.

The activity of the larvae of mosquito hawks can cause damage. It’s rampant in the Pacific Northwest and California but only within Del Norte and Humboldt counties. The damage is rarely seen in dry, warm inland parts of the state.

What Attracts Mosquito Hawk?

What Attracts Mosquito Hawk

The larvae of mosquito hawks are attracted to moisture since it gives them the chance to feed on roots. Also, you’ll find them beside lighted windows as they’re attracted to lights.

Hence, they get inside a house through any opening. To prevent any trouble, you have to close windows and doors before the time that you turn on the lights inside your house.

Is It Bad to Kill a Mosquito Hawk?

Since it’s a harmless insect, it’s bad to kill mosquito hawks. As mentioned, its larvae help in biological decomposition. They’re attracted to lights, so they tend to enter houses in the evening or at night.

This is the only annoying thing about them, as no one likes to coexist with insects.

You only need to stop mosquito hawks from entering your house. Sadly, the high number of adults that can appear in wet surroundings can’t be controlled. However, you can minimize their count by properly managing lawn and irrigation.

You have to aerate your lawn for good drainage and avoid overwatering the area. When fall comes, get rid of excess thatch that builds up from the previous months.

Do Mosquitoes Hawks Eat Mosquitoes?

Adult mosquito hawks don’t eat mosquitoes as they don’t need feeding. It’s only the larvae that consume the larvae of mosquitoes.

Do Mosquito Hawks Carry Disease?

Do Mosquito Hawks Carry Disease

Mosquito hawks or crane flies don’t carry any diseases. Their sole purpose is to mate and lay eggs, then they die.

What Happens if a Mosquito Hawk Bites You?

Nothing will happen as a mosquito hawk doesn’t bite. 

Are Crane Flies Same as Mosquito Hawks?

Are Crane Flies Same as Mosquito Hawks

Crane flies and mosquito hawks are the same. They’re only two different terms, but they refer to the same insect with long legs.

Should I Kill Mosquito Hawks?

Again, adult mosquito hawks are harmless. It’s only their larvae that can damage your lawn.

Before deciding whether to kill mosquito hawks or not, check the damages on your lawn. Here’s a guide from Washington State University to make you decide easily:

The average number of mosquito hawks per square footDecision
0 to 25No need to kill them; Just fertilize appropriately; Treatment is necessary for new turf or not well-established or those with the poor root structure
25 to 50No need to do anything if your lawn is healthy and vigorous; other considerations are its condition, location, and turf usage
50 to 80Treatment is necessary; Long-term solutions must be applied 

Treatments are best applied in the middle of April. If the situation is bad, you have to opt for lawn alternative plants as a long-term solution. Use organic pesticides like Monterey Insecticide/Pesticide Treatment Concentrate and Southern Ag to take care of the larvae. Spread it around the area three or four times.

Apart from buying a ready-to-use product, you can also make your solution by mixing dish soap, garlic, and oil to eliminate the adult mosquito hawks.

Frequently Asked Questions

What Is the Biggest Mosquito in the World?

Although a mosquito hawk looks like a large mosquito, it’s not identified as one. The biggest mosquito in the world is Toxorhynchites or commonly called elephant mosquito or mosquito eater.

The regular mosquitoes grow from 0.15” to 0.4”, but this one grows in the length of 0.71” and has a wingspan of 0.94”.

Luckily, elephant mosquitoes don’t suck human blood. They are after things that are rich in carbohydrates, such as fruits, nectar, honey, and juices or sap from damaged plants. The food of its larvae is also different from other blood-sucking mosquitoes.

The larvae of elephant mosquitoes eat the larvae of other species, which means they’re beneficial to humans. They can eat those that cause problems and bring diseases.

Some environment scientists even suggested distributing Toxorhynchites to different places to counter dengue fever. However, it was a failure as they mistakenly introduced other species.

What Harm Mosquito Hawks Cause?

As mentioned, adult mosquito hawks are harmless. They no longer feed once they become adults. The only thing that they intend to do is to mate and lay eggs to produce the next generation.

What Smells Do Mosquitoes Hate?

Mosquitoes hate the smell of some plants that are made into essential oil.

  • Citronella plant – The oil of its leaves has properties that repel mosquitoes. Crush the leaves to obtain oil that you can apply to your skin to keep mosquitoes away.
  • Cypress essential oil – This has a woodsy odor that isn’t appealing to mosquitoes, and it’s ideal to use when staying in a cabin for vacation.
  • Fennel essential oil – You can use this in summer when mosquitoes are on the rise. Some studies show that it’s effective in killing these insects.
  • Clary sage essential oil – You can mix this with aromatic room spray or place it in a diffuser to scare mosquitoes away. Its nice, floral scent enhances mood, so you might want to have it after a long day to ensure that no bugs can wake you up from sleep.
  • Immortelle essential oil – With its floral scent, it can uplift the ambiance in the room and repel insects like mosquitoes at the same time.
  • Yarrow essential oil – Mix this with a diffuser inside your house as its fresh, sweet aroma can keep mosquitoes away.
  • Lemon eucalyptus essential oil – Mosquitoes are discouraged to enter a room when they smell a fresh lemony aroma.
  • Catnip essential oil – A study at Iowa State University discovered that this oil is ten times stronger than commercial bug repellents.

(Here the entry breaks off for crystal structures)
/*
[1]
Theoretical powder diffraction line list
Compound: Li4MgCdGe2
Radiation: Cu Kα (weighted mean of Kα1 and Kα2)
Structure: the GGA-PBE geometry in OQMD
No peak broadening, texture or thermal motion is included.

Largest 10 diffraction maxima, low angle first, 10° ≤ 2θ ≤ 90°:
2θ/deg, I/Imax
13.89, 15
19.58, 17
24.08, 100
31.23, 14
39.76, 35
39.88, 69
47.02, 32
47.24, 16
63.40, 12
72.25, 23

Atomic structure:
```
8
Lattice="4.535 0.000 0.000 0.000 4.535 0.000 0.000 0.000 6.375" Properties=species:S:1:pos:R:3 pbc="T T T"
Li 0.000 0.000 0.000
Li 0.000 2.267 4.756
Li 2.267 0.000 1.619
Li 2.267 2.267 3.187
Mg 2.267 2.267 0.000
Cd 0.000 0.000 3.187
Ge 0.000 2.267 1.522
Ge 2.267 0.000 4.853
```

[2]
Theoretical powder diffraction line list
Compound: Er4InCo2Si4
Radiation: Cu Kα (weighted mean of Kα1 and Kα2)
Structure: the GGA-PBE geometry in OQMD
No peak broadening, texture or thermal motion is included.

Largest 10 diffraction maxima, low angle first, 10° ≤ 2θ ≤ 90°:
2θ/deg, I/Imax
22.40, 40
28.54, 48
34.02, 35
34.17, 87
35.53, 100
35.78, 41
37.10, 98
38.17, 39
41.40, 38
43.84, 55

Atomic structure:
```
11
Lattice="7.544 -2.065 0.000 7.544 2.065 0.000 -2.106 0.000 6.537" Properties=species:S:1:pos:R:3 pbc="T T T"
Er 0.518 0.000 2.515
Er 0.361 0.000 6.143
Er 12.621 0.000 0.394
Er 12.463 0.000 4.023
In 7.544 0.000 0.000
Co 3.440 0.000 2.445
Co 9.541 0.000 4.092
Si 2.877 0.000 4.734
Si 5.794 0.000 2.273
Si 7.187 0.000 4.264
Si 10.105 0.000 1.803
```

[3]
Theoretical powder diffraction line list
Compound: TbSc2In3PtAu2
Radiation: Cu Kα (weighted mean of Kα1 and Kα2)
Structure: the GGA-PBE geometry in OQMD
No peak broadening, texture or thermal motion is included.

Largest 10 diffraction maxima, low angle first, 10° ≤ 2θ ≤ 90°:
2θ/deg, I/Imax
23.17, 47
27.37, 38
33.46, 68
36.15, 100
40.56, 28
40.74, 46
43.34, 46
43.45, 26
48.75, 25
66.03, 26

Atomic structure:
```
9
Lattice="3.736 0.000 0.000 0.000 6.672 3.831 0.000 -6.672 3.831" Properties=species:S:1:pos:R:3 pbc="T T T"
Tb 0.000 0.000 0.000
Sc 0.000 -2.635 4.562
Sc 0.000 2.635 4.562
In 1.868 -1.785 2.059
In 1.868 1.785 2.059
In 1.868 0.000 5.062
Pt 0.000 0.000 3.075
Au 1.868 -4.400 3.042
Au 1.868 4.400 3.042
```

[4]
Theoretical powder diffraction line list
Compound: Gd2YFeNi8
Radiation: Cu Kα (weighted mean of Kα1 and Kα2)
Structure: the GGA-PBE geometry in OQMD
No peak broadening, texture or thermal motion is included.

Largest 10 diffraction maxima, low angle first, 10° ≤ 2θ ≤ 90°:
2θ/deg, I/Imax
33.12, 46
36.04, 50
36.16, 36
42.03, 39
42.59, 100
46.01, 26
46.16, 23
64.84, 21
69.31, 23
76.44, 23

Atomic structure:
```
12
Lattice="2.492 1.439 8.101 -2.492 1.439 8.101 0.000 -2.878 8.101" Properties=species:S:1:pos:R:3 pbc="T T T"
Gd 0.000 0.000 3.369
Gd 0.000 0.000 20.934
Y 0.000 0.000 0.000
Fe 0.000 0.000 12.152
Ni -1.249 -0.721 10.106
Ni 0.000 0.000 8.099
Ni 0.000 -1.442 14.198
Ni -1.249 0.721 14.198
Ni 1.249 -0.721 10.106
Ni 0.000 1.442 10.106
Ni 0.000 0.000 16.205
Ni 1.249 0.721 14.198
```

[5]
*/
(Back to the entry)


The love of mosquito hawks for the lights can annoy you as they enter your house. So, you need to put some effort into preventing them from entering your house.

The adult ones are harmless. But larvae can ruin your lawn if it’s still in an early phase with poor root structure. Besides this, mosquito hawks don’t cause any trouble.

List of Sources

How to Get Rid of Mosquito Hawks

Crane Fly Frequently Asked Questions

‘Mosquito Hawks’ in Your House?

Mosquito Facts and Fictions

7 Essential Oils to Tame Mosquitoes